Let's get to know eachother -- Self-introduction



  • Jenniferanne6
    Jenniferanne6 Posts: 17 Member
    Hi everyone! My name is Jen and I'm hoping to lose 8-10 pounds in 10 weeks. I'm hoping to accomplish this with 100% strict diet and exercise. My ultimate goal is to lose 30 lbs by next Christmas,

    I'm from Michigan. Snow and ice, but I will run through the winter.
    Favorite color: green.
    Favorite food: beer and Indian food.
    TV: Big Bang Theory, It's Always Sunny in Philadelphia.
    Books: I read everything!
    Hobby: reading, running, baking.
    Travel: Iceland, Finland, Poland
  • verdancyhime
    verdancyhime Posts: 237 Member
    I'm Eva, I'm 26 and have struggled with weight issues since I was put on Depakote and Lithium in middle school, which messed with both my thyroid and my weight.

    My highest weight ever was over 300 lbs in my sophmore year of highschool. Being more active and taking medicine for my health issues helped, and my weight got down to 230 before my current bf, who eats like a pair of teenaged boys moved in. My goal is to lose 15 or more pounds for the challenge, and lose 90 over the next year. I've had success with diets but my weight yoyos due to depression and social anxiety that sometimes makes me afraid to leave my home.

    I love to read and am currently devouring the Song of Ice and Fire series. I have a giant fluffy black cat, and am hoping to attend beauty school soon- I'm an expert on dry and curly haircare! I love doctor who and science fiction television shows in general, but I mostly watch TV on hulu or netflix. I adore anything victorian and love crazy clothing styles. My favorite bands are Hole, Streetlight Manifesto, and I love Tori Amos and Mika as well. I'm underemployed except during the winter season, when I work as a Tax Professional with HR Block. Believe it or not, the tax code is really interesting.

    If you like D&D or tabletop games, feel free to shoot me a message, my gaming group meets on skype because some friends have moved away and we are always willing to welcome another player!
  • emilypink573
    emilypink573 Posts: 133 Member
    Hi Everyone! Im from NYC, Im looking to lose 50lbs by the end of this year. Im 5'5 and weight 195lbs. I joined the gym and have been going regularly for a month. My favorite color right now is orange! Id really just want to find a group of motivated people I can chat with!
  • EweCreekCottage
    EweCreekCottage Posts: 324 Member
    Hi I am RaNae I think I may be the biggest person in this challenge and I may be the oldest I turn 48 before we start.... but that isn't gonna stop me lol because this is about progressing with my new life way ... I currently weigh 330.4 and hope to be 328 by Jan 1st. I would like to be 299 by the end of this challenge- I haven't seen that number in probably 15-20 years. My highest weight was 370 and when I started using MFP on OCT 21 2012 I was 349 ( I signed up in 2011 but never used mfp then)

    I am from Upstate NY but moved away from there in 83 and have lived in Lower Alabama, the Tulsa area of Oklahoma and now call North Texas home for the last 7 years.

    Favorite foods- well let me say this I am Italian, a great cook and a FOODIE so there are too many to say - I am enjoying trying to make my favorites healthier... but pasta in my life now is a rarety :cry:

    My favorite color- well I am really into Shades of aqua paired with brown and red and yellow right now...I have a real artistic creative streak so this is another hard one to answer.

    Tv- Elementary, Grays Anatomy, Arrow, knitting daily, The vampire diaries , Covert Affairs and many more too many lol most are back logged on the tevo .

    Favorite season Fall

    Currently my workouts include any of the following Tready, Elliptical, Riding my bike, Water Aerobics , Lifting, Going for walks and playing catch.

    Favorite Place to Visit Kona Hawaii

    Feel free to add me :bigsmile:
  • Mazirene
    Mazirene Posts: 16 Member
    Hi everyone, I'm Maz and I'd like to lose at least 10lbs of the 30 I'm aiming for.

    I am originally from NYC but have lived in Greece for the last 14 years.
    Favorite color: Blue
    Season: Summer
    Food: Pasta

    Somewhere, anywhere I've never been where the weather is warm.
    I like to walk and dance.
  • FahadNaseem
    FahadNaseem Posts: 80 Member
    My name is Fahad, I am from Pakistan. Im 23 years old. Height 6ft. MBA student. Set my goals as losing 2lbs/week.
    I absolutely summers. I love to eat but somehow I manage to have absolute control over my love for food. I love movies and watch 2-3 movies per day as I have too much free time.And i would love to visit Croatia and italy.
    I just do walk and cycling. Plan to start c25k in January.
  • nb9251
    nb9251 Posts: 151 Member
    Hi All,

    My name is Naomi and I live in Southeastern, PA just outside Phialdelphia. I am hoping to lose about 20 lbs in our first ten weeks, but about 65 overall. My favorite color is red and I read cheesy romance novels; the trashier the better. Lol. I am surpisingly into vvampires so True Blood has become my new favorite show. I love the summer time heat and my dream vacation is to go to Fiji. Anyone in the group can feel free to add me as a friend and we'll get this year started off right!
  • Hello everyone my name is shelle

    Before I had my daughter I was 130 and now four years after having my daughter I cant stay under 200. I lose really qucikly, but I gain even faster. I will go a month without a pop and I will have lost a little, then I will reward myself with one and bam ive gained it all back plus more. Right now I am right at 200 and im only 5 ft so its no fun.

    New year means new things!!! Im joining the gym and im for sure watching what I eat. I would like to end at at least 130, if not less....

    SW 200
    GW 130
    First goal 160

    Good Luck ladies...im glad im not alone!
  • shelsab
    shelsab Posts: 138 Member
    Hello everyone!

    My name is Alexis I am from Las Vegas, Nevada currently living in Hawaii. My favorite color is green, I want to visit Europe and travel around. I enjoy reading, watching tv occasionally and watching movies. I just moved to Hawaii and they plan to hike the many trails around and enjoy the beaches around. I enjoy the outdoors and trying new classes at the gym.

    My HW was around 220 and I am down to 155. Now I want to lose the last 30ish lbs. During this challenge I want to lose 12-15 lbs
    Feel free to add me :)
  • Barrettmomof3
    Barrettmomof3 Posts: 140 Member
    Hi, I'm Sarah.
    29 years old and holding
    A mom of 3 (two girls, 1 boy - ages 6, 2 and 4mths)
    Favorite color : Blue
    Favorite t.v. Shows- NCIS, Castle, NCIS: LA , Dance Mom's (so wrong but can't help it), So you think you can dance...

    Started the Journey to "Get Healthy" after my 2nd daughter was born, Lost 40+ lbs and got pregnant again with our son. He is our last and is now 4 mths old. Time to get back on track!!

    Weight info:
    GW for challange: Hoping to be 200 or less ( steep goal but I figure Why not try)
    Ultimate goal weight: 130 (that's the high end of healthy for my height, but its in the healthy range)

    Please add me if you would like. Let's make 2013 a productive year!
  • TexMexBel
    TexMexBel Posts: 54 Member
    Hello everyone, I'm Maribel, I'm currently in Las Vegas, NV, hoping to get back to Kentucky where my daughter and I are much happier. I'm 44, I have two boys 21 & 19 but they've already left the coup leaving me with my baby girl age 13

    My favorite color is pink/purple. I LOVE Mexican food, especially cheese enchiladas, chips & salsa
    I'm not really into t.v, I USED to love The Biggest Loser back in the day when it was good. I love the Twilight Series :)

    I am insulin dependent diabetic and hopeful that losing this weight will help get rid of the insulin. My Endocrinologist recommended me to go get rid of "white foods" (sugar, flour, salt & rice) which I have began doing last week.

    I am currently 175 and with lots of hard work, I am hoping to reach my goal weight of 125 (or close to it)
    I have been through hell and back this year and am looking very forward to this new year with the NEW ME.

    I wish everyone lots and LOTS of luck in their journey. Feel free to add me if you would like additional support....
  • heart_explodes
    heart_explodes Posts: 48 Member
    Hi everyone! I'm Amanda, I live in Newcastle Australia although I'm originally from Sydney. It's summer here at the moment, which just makes being overweight all that much more uncomfortable - not even considering how much I would like to go the beach but I couldn't make myself do it!

    Colour - Red (like my hair! haha)
    Season - Winter, the clothes are so much better in winter!
    Food - Unfortunately anything that's bad for me, my two ultimate favourites, chocolate and hot chips (or fries for my American friends!)
    Television series - At the moment I'm watching Sons of Anarchy, Vampire Diaries, New Girl & The Office.
    Books - I don't get to read as much as I would like to but I love fantasy stuff!
    Hobbies - I have so many that I stop and start all the time! I love music so I have been learning to play the piano for what seems like forever now and I knit!

    My ultimate goal at the moment is to be at 140lbs by October 2014. I know that may seem like a long time to lose 60lbs but I'm not planning on losing quickly because I want to be sure I can maintain it. I'm getting married in Vegas on the 31/10/14 and I want to look hot! However, I had wanted to lose the weight before that was decided!
    At this point, I have no other health issues holding me back (recently had a check up by the doctor and for my size I'm pretty healthy!) and I plan on turning this all around next year! I'm tired of excuses and I'm beyond ready.

    I'm looking forward to getting to know you all!!!
  • Hello Everyone,

    I'm new to this so anyone who wants to add me feel free.

    My name is Sarah! 20 years old and 5'4. I plan to lose 15 pounds in 10 weeks I realize how crazy that may sound crazy but I currently weigh 210 pounds and I will be the maid of honor in my sisters wedding in May.. So i Need to lose weight as much as possible as soon as possible (while being healthy) I want to be more comfortable with my body that's why I need to do this. My sister getting engaged was a great kick in the butt I needed.

    Oh and I have no clue how to post photos so if someone would instruct me I'd appreciate it.
  • janetay01
    janetay01 Posts: 1,299 Member
    How much would you like to lose by the end of the New Year New You 2013 challenge??

........
Below is a relaxed structure of Pm2DyY6Th, with properties calculated at the PBE level.

Cell: 8.7532 8.7532 9.8185 Å, 95.08 95.08 117.04°
Last column: nearest neighbours and their distance in Å.
Atoms (fractional coordinates):
Pm1 0.1932 0.2881 0.0475  5 Y 3.28-3.53, 2 Th 3.36-3.37, 1 Dy 3.54
Pm2 0.2881 0.1932 0.5475  5 Y 3.28-3.53, 2 Th 3.36-3.37, 1 Dy 3.54
Pm3 0.7119 0.8068 0.4525  5 Y 3.28-3.53, 2 Th 3.36-3.37, 1 Dy 3.54
Pm4 0.8068 0.7119 0.9525  5 Y 3.28-3.53, 2 Th 3.36-3.37, 1 Dy 3.54
Dy1 0.4049 0.5951 0.7500  8 Y 3.42-3.78, 2 Pm 3.54
Dy2 0.5951 0.4049 0.2500  8 Y 3.42-3.78, 2 Pm 3.54
Y1 0.0193 0.5763 0.1841  4 Y 3.30-3.69, 1 Pm 3.43, 1 Dy 3.46, 1 Th 3.54
Y2 0.1161 0.7441 0.5567  8 Y 3.43-3.81, 1 Pm 3.53, 1 Th 3.61, 1 Dy 3.78
Y3 0.2559 0.8839 0.9433  8 Y 3.43-3.81, 1 Pm 3.53, 1 Th 3.61, 1 Dy 3.78
Y4 0.2997 0.5074 0.3824  3 Pm 3.28-3.48, 4 Y 3.30-3.56, 2 Dy 3.42-3.57
Y5 0.4237 0.9807 0.3159  4 Y 3.30-3.69, 1 Pm 3.43, 1 Dy 3.46, 1 Th 3.54
Y6 0.4926 0.7003 0.1176  3 Pm 3.28-3.48, 4 Y 3.30-3.56, 2 Dy 3.42-3.57
Y7 0.5074 0.2997 0.8824  3 Pm 3.28-3.48, 4 Y 3.30-3.56, 2 Dy 3.42-3.57
Y8 0.5763 0.0193 0.6841  4 Y 3.30-3.69, 1 Pm 3.43, 1 Dy 3.46, 1 Th 3.54
Y9 0.7003 0.4926 0.6176  3 Pm 3.28-3.48, 4 Y 3.30-3.56, 2 Dy 3.42-3.57
Y10 0.7441 0.1161 0.0567  8 Y 3.43-3.81, 1 Pm 3.53, 1 Th 3.61, 1 Dy 3.78
Y11 0.8839 0.2559 0.4433  8 Y 3.43-3.81, 1 Pm 3.53, 1 Th 3.61, 1 Dy 3.78
Y12 0.9807 0.4237 0.8159  4 Y 3.30-3.69, 1 Pm 3.43, 1 Dy 3.46, 1 Th 3.54
Th1 0.0196 0.9804 0.2500  4 Pm 3.36-3.37, 4 Y 3.54-3.61
Th2 0.9804 0.0196 0.7500  4 Pm 3.36-3.37, 4 Y 3.54-3.61

Calculated values
energy relative to the elements	148	meV per atom
space-group type	C2/c, No. 15

Below is a relaxed structure of Li5GaAu4, with properties calculated at the PBE level.

Cell: 6.9249 6.9249 5.4762 Å, 104.39 104.39 37.79°
Last column: nearest neighbours and their distance in Å.
Atoms (fractional coordinates):
Li1 0.0000 0.0000 0.0000  2 Ga 2.74, 6 Li 2.77-2.81, 4 Au 3.02
Li2 0.2044 0.2044 0.3103  7 Au 2.70-2.77, 2 Li 2.77-2.92
Li3 0.3946 0.3946 0.1266  6 Au 2.61-2.79, 2 Li 2.81
Li4 0.6054 0.6054 0.8734  6 Au 2.61-2.79, 2 Li 2.81
Li5 0.7956 0.7956 0.6897  7 Au 2.70-2.77, 2 Li 2.77-2.92
Ga1 0.0000 0.0000 0.5000  6 Au 2.73-2.78, 2 Li 2.74
Au1 0.2011 0.2011 0.8056  7 Li 2.64-2.75, 1 Ga 2.73
Au2 0.4043 0.4043 0.6423  6 Li 2.61-2.79, 2 Ga 2.78
Au3 0.5957 0.5957 0.3577  6 Li 2.61-2.79, 2 Ga 2.78
Au4 0.7989 0.7989 0.1944  7 Li 2.64-2.75, 1 Ga 2.73

Calculated values
energy relative to the elements	-497	meV per atom
distance to the lowest polymorph of the same formula	0.03	eV/f.u.
space-group type	C2/m, No. 12

Below is a relaxed structure of Ac2PmIr3O12, with properties calculated at the PBE level.

Cell: 6.7937 6.7937 6.7937 Å, 64.57 64.57 64.57°
Last column: nearest neighbours and their distance in Å.
Atoms (fractional coordinates):
Ac1 0.1164 0.1164 0.1164  3 O 2.38
Ac2 0.8836 0.8836 0.8836  3 O 2.38
Pm1 0.5000 0.5000 0.5000  6 O 2.50
Ir1 0.0000 0.5000 0.5000  6 O 1.95-1.98
........

    Lets get to know each other -- Where are you from? What is your favorite color, season, food, television series, books, and hobby? Where would you visit if you could visit any place in the world!!?? -- and why? What are your favorite workout routines? RAMBLE ON MY FRIENDS!! lol :) Feel free to add your own questions to the mix!

    Hi all,

    I'm Jane, 36 years old and living about 10 miles north of Brighton - yep, another UK girl to the group! Married for just over five years to the man of my dreams. My fitness goals - well, I've got about 10lbs to lose but I'm keen to do it whilst gaining some muscle tone and shape at the same time. We move house at the end of January and there is a gym just down the road so (finances permitting!) I will be joining them to get a more rounded workout.

    Ok favourites:

    Colour - varies, I've also gone for blue but expanding my interests - deep red is a good option for me
    Season - spring, not too hot and full of hope for the year
    Food - chicken with brocolli, red peppers, pasta and lashings of garlic, butter and olive oil (yep, needs a workout before or after it!), hummous, strawberries
    TV series - Big Bang Theory
    Books - too many to mention - ran out of shelf space and had to buy a Kindle! My go to read that I can re-read at any time - Harry Potter
    Films - Lord of The Rings
    Hobby - cricket - good at watching it, not so good at playing it!
    Favourite place to go in all lthe world - Christchurch, New Zealand - spent part of our honeymoon there and would go back tomorrow if we could
    Work out routines - home cross trainer, workout sessions on the Wii console
    Aims for 2013 - buy and move into new house! get properly fit! start to think seriously about having kids - eeek - the last one scares me a little!

    Anyway, looking forward to the challenge - good luck everyone:smile:
  • CrazyAngel908
    CrazyAngel908 Posts: 9 Member
    Hello everyone - My best friend invited me to join this group - I'm currently also doing a challenge with the girls that I work with to. We figured it would help us stay motivated and accountable for calories and less cheating if we're doing it with people we see everyday.

    I work at a doctor office and spend roughly 90% of my 40 hours sitting on my butt. While I love my job, some days I really wish it was a little more physically demanding. In my off time, 75% of my time is spent reading and doing homework for the next 11 weeks until graduation, then I can focus a little more on the physical aspect of my life. :smile:

    I'm hoping to drop approx. 20 pounds in the next 10 weeks towards my overall goal. I recently joined a gym with a couple girls from work and starting next week we're going to get back on track with going several times a week.

    Hope everyone has great success and a Happy New Year! :drinker:

    ~Amanda S.
  • BobzStuff
    BobzStuff Posts: 121 Member
    Hey there, my name is Bobbie. I would like to lose at least 25lbs in the 10 weeks. It's a big goal but totally doable. I love being active. I'd already lost 67lbs but put 25 back on. I want it gone again so I can continue this journey and hit Onederland finally.

    I am from Florida
    My favorite color is PINK
    I love love love Autumn
    I love pineapple spaghetti, together and separate
    I like The Walking Dead and Two Broke Girls
    I am a sucker for Nicholas Sparks books
    I love his movies too and Harry Potter everything.
    A hobby is playing music, sports and video games
    I'm not sure where my favorite place is because I haven't visited them all.
    I like playing sports and am not too big on the gym. I like feeling free and having fun while working out.
    In 2013 I'm graduating college and either starting law school or getting a big girl job. I want to be happier than 2012 and take better care of myself.
  • ellouise1108
    ellouise1108 Posts: 28 Member
    Hi my name is Beth and I would love to lose at least 25lbs during this challenge. I am from KS, my fav color is purple, fav season is autumn, and I never miss an episode of the Walking Dead or Pretty Little Liars. I could use some serious motivation so feel free to add me if you want! :)
  • Manleymomof2
    Manleymomof2 Posts: 50 Member
    I would like to lose 20 lbs during the 10 week challenge. On December 26th, I reset my beginning weight, updated my profile and renewed my commitment to get healthy.

    A little over 8 years ago I moved from San Diego to Meridian, Idaho
    Fave Color - Orange
    Fave Season - Fall
    Fave Food - Anything Mexican
    Fave TV Show - THE BIG BANG THEORY!! I love Sheldon, but Amy is my fave
    Fave Hobby - Scrapbooking

    I'm a 41 year old mother and wife of 2 very active boys. It's time for me to stop watching my kids play sports and start playing with them.

    Good Luck Everyone. Feel free to add me as a friend.
  • tigerlinly
    tigerlinly Posts: 219 Member
    i'm Linda I currently weigh around 278 (will know better in mornign wheni go to doctor) the 10 week will be close to my 30 year reunion so the more weight i can lose the better (i ultimately want to get down to 120)so keep pushing me anyone know how to take the food thing off of private and put it to public?
  • tigerlinly
    tigerlinly Posts: 219 Member
    i'm a 47 year old single mother my daughter and her husband have a 3 year old girl my fave colors are blue black and green. fave season is late fall and early spring where it isnt to hot or to cold, food is Barqs root beer and cheese, hobby is gardening i'm starting to take an intrest in that again and swimming, show is haunted collector and home improvement shows.
    I live in Mississippi